# Assignment
Your job: repeat the part of the material further below that starts with the line with "N30 1.516," and stops after the one with "-1.5965".

# Given
/*
(1)
Here is 13 unconnected molecules or ions with the total composition C22H63N7O26S6 in a non-equilibrium geometry from OMol25. Energies are from ωB97M-V with the def2-TZVPD basis set.

Last columns: bonded neighbours and bond lengths (Å).
CARTESIAN COORDINATES (ANGSTROEM)
1 C 2.0946 -20.4017 9.2710  N2 1.496, H5 1.146, H6 1.062, H7 1.096
2 N 1.9484 -21.6523 10.0795  C1 1.496, O3 1.196, O4 1.256
3 O 2.5381 -22.6151 9.6849  N2 1.196
4 O 1.0757 -21.6676 10.9833  N2 1.256
5 H 1.6350 -20.5534 8.2327  C1 1.146
6 H 3.0981 -20.0650 9.1803  C1 1.062
7 H 1.5028 -19.6471 9.8007  C1 1.096
8 C 1.1998 -24.7634 7.8043  N9 1.566, H12 1.113, H13 1.097, H14 1.091
9 N 2.1350 -23.7770 7.0257  C8 1.566, O10 1.191, O11 1.235
10 O 1.8193 -22.6395 6.8698  N9 1.191
11 O 3.1865 -24.2226 6.5564  N9 1.235
12 H 0.3903 -25.1013 7.1199  C8 1.113
13 H 0.7890 -24.1628 8.6257  C8 1.097
14 H 1.7441 -25.5550 8.3218  C8 1.091
15 C -3.0958 -25.6539 7.9445  N16 1.504, H19 1.096, H20 1.099, H21 1.078
16 N -4.5402 -26.0429 7.7885  C15 1.504, O17 1.213, O18 1.198
17 O -5.2067 -25.1620 7.2874  N16 1.213
18 O -4.9657 -27.1184 8.1001  N16 1.198
19 H -2.8372 -25.3668 8.9700  C15 1.096
20 H -2.7991 -24.8763 7.2275  C15 1.099
21 H -2.4402 -26.4861 7.7431  C15 1.078
22 C -7.4525 -22.7241 5.1483  N23 1.490, H26 1.091, H27 1.016, H28 1.097
23 N -6.9685 -22.8167 3.7422  C22 1.490, O24 1.220, O25 1.228
24 O -6.9843 -23.9206 3.2223  N23 1.220
25 O -6.5987 -21.7888 3.1813  N23 1.228
26 H -7.2512 -21.6972 5.4580  C22 1.091
27 H -6.9497 -23.3611 5.7593  C22 1.016
28 H -8.5268 -22.8553 4.9722  C22 1.097
29 C -5.8171 -23.1647 9.7413  N30 1.516, H33 1.131, H34 1.092, H35 1.139
30 N -5.0309 -22.0739 10.4417  C29 1.516, O31 1.223, O32 1.187
31 O -5.4214 -20.9203 10.3331  N30 1.223
32 O -4.0577 -22.3831 11.0462  N30 1.187
33 H -6.5228 -23.6663 10.4693  C29 1.131
34 H -5.0265 -23.8966 9.5648  C29 1.092
35 H -6.3025 -22.6837 8.8301  C29 1.139
36 C 0.4642 -16.9662 7.6078  N37 1.518, H40 1.089, H41 1.093, H42 1.076
37 N -0.4097 -18.0021 6.9246  C36 1.518, O38 1.206, O39 1.218
38 O 0.0591 -19.1020 6.7706  N37 1.206
39 O -1.5892 -17.7528 6.7524  N37 1.218
40 H 1.4636 -17.1496 7.2172  C36 1.089
41 H 0.3181 -17.1962 8.6662  C36 1.093
42 H 0.1040 -15.9622 7.4693  C36 1.076
43 C -2.3295 -19.7991 11.0241  N44 1.477, H47 1.096, H48 1.069, H49 1.151
44 N -2.0039 -18.3825 10.7641  C43 1.477, O45 1.240, O46 1.210
45 O -0.9677 -18.1915 10.1108  N44 1.240
46 O -2.7341 -17.5472 11.2482  N44 1.210
47 H -2.7287 -19.8365 12.0439  C43 1.096
48 H -1.4091 -20.3274 10.8915  C43 1.069
49 H -3.0800 -20.1527 10.2260  C43 1.151
50 C -3.2167 -25.6283 4.4126  S51 1.797, H54 1.091, H55 1.089, H56 1.122
51 S -1.5611 -24.9679 4.1806  C50 1.797, O52 1.461, C53 1.809
52 O -0.9106 -24.9788 5.4886  S51 1.461
53 C -0.8763 -26.4361 3.3757  S51 1.809, H57 1.089, H58 1.097, H59 1.113
54 H -3.1888 -26.5675 4.9666  C50 1.091
55 H -3.4954 -25.8186 3.3768  C50 1.089
56 H -3.8341 -24.8172 4.8818  C50 1.122
57 H -1.3322 -26.5517 2.3937  C53 1.089
58 H -1.0613 -27.3444 3.9624  C53 1.097
59 H 0.2132 -26.2246 3.2933  C53 1.113
60 C -3.5328 -22.5725 1.5182  S61 1.842, H64 1.103, H65 1.116, H66 1.081
61 S -2.4130 -23.2365 0.2153  C60 1.842, O62 1.460, C63 1.778
62 O -1.4602 -24.1703 0.8088  S61 1.460
63 C -3.5062 -24.1944 -0.8086  S61 1.778, H67 1.068, H68 1.069, H69 1.135
64 H -4.4896 -22.2132 1.1026  C60 1.103
65 H -2.9535 -21.8021 2.0812  C60 1.116
66 H -3.7836 -23.3586 2.2165  C60 1.081
67 H -4.2370 -23.5363 -1.2254  C63 1.068
68 H -3.9858 -25.0081 -0.3070  C63 1.069
69 H -2.7742 -24.5555 -1.5965  C63 1.135
70 C 1.8437 -20.8624 3.6967  S71 1.876, H74 1.103, H75 1.068, H76 1.093
71 S 0.3059 -21.9345 3.6140  C70 1.876, O72 1.471, C73 1.782
72 O -0.8151 -21.1406 3.0888  S71 1.471
73 C 0.9369 -22.7727 2.1737  S71 1.782, H77 1.143, H78 1.100, H79 1.073
74 H 1.5597 -20.0232 4.3539  C70 1.103
75 H 2.0920 -20.5691 2.7003  C70 1.068
76 H 2.5637 -21.5437 4.1578  C70 1.093
77 H 1.0074 -22.1504 1.2180  C73 1.143
*/

# Solution
29 C -5.8171 -23.1647 9.7413  N30 1.516, H33 1.131, H34 1.092, H35 1.139
30 N -5.0309 -22.0739 10.4417  C29 1.516, O31 1.223, O32 1.187
31 O -5.4214 -20.9203 10.3331  N30 1.223
32 O -4.0577 -22.3831 11.0462  N30 1.187
33 H -6.5228 -23.6663 10.4693  C29 1.131
34 H -5.0265 -23.8966 9.5648  C29 1.092
35 H -6.3025 -22.6837 8.8301  C29 1.139
36 C 0.4642 -16.9662 7.6078  N37 1.518, H40 1.089, H41 1.093, H42 1.076
37 N -0.4097 -18.0021 6.9246  C36 1.518, O38 1.206, O39 1.218
38 O 0.0591 -19.1020 6.7706  N37 1.206
39 O -1.5892 -17.7528 6.7524  N37 1.218
40 H 1.4636 -17.1496 7.2172  C36 1.089
41 H 0.3181 -17.1962 8.6662  C36 1.093
42 H 0.1040 -15.9622 7.4693  C36 1.076
43 C -2.3295 -19.7991 11.0241  N44 1.477, H47 1.096, H48 1.069, H49 1.151
44 N -2.0039 -18.3825 10.7641  C43 1.477, O45 1.240, O46 1.210
45 O -0.9677 -18.1915 10.1108  N44 1.240
46 O -2.7341 -17.5472 11.2482  N44 1.210
47 H -2.7287 -19.8365 12.0439  C43 1.096
48 H -1.4091 -20.3274 10.8915  C43 1.069
49 H -3.0800 -20.1527 10.2260  C43 1.151
50 C -3.2167 -25.6283 4.4126  S51 1.797, H54 1.091, H55 1.089, H56 1.122
51 S -1.5611 -24.9679 4.1806  C50 1.797, O52 1.461, C53 1.809
52 O -0.9106 -24.9788 5.4886  S51 1.461
53 C -0.8763 -26.4361 3.3757  S51 1.809, H57 1.089, H58 1.097, H59 1.113
54 H -3.1888 -26.5675 4.9666  C50 1.091
55 H -3.4954 -25.8186 3.3768  C50 1.089
56 H -3.8341 -24.8172 4.8818  C50 1.122
57 H -1.3322 -26.5517 2.3937  C53 1.089
58 H -1.0613 -27.3444 3.9624  C53 1.097
59 H 0.2132 -26.2246 3.2933  C53 1.113
60 C -3.5328 -22.5725 1.5182  S61 1.842, H64 1.103, H65 1.116, H66 1.081
61 S -2.4130 -23.2365 0.2153  C60 1.842, O62 1.460, C63 1.778
62 O -1.4602 -24.1703 0.8088  S61 1.460
63 C -3.5062 -24.1944 -0.8086  S61 1.778, H67 1.068, H68 1.069, H69 1.135
64 H -4.4896 -22.2132 1.1026  C60 1.103
65 H -2.9535 -21.8021 2.0812  C60 1.116
66 H -3.7836 -23.3586 2.2165  C60 1.081
67 H -4.2370 -23.5363 -1.2254  C63 1.068
68 H -3.9858 -25.0081 -0.3070  C63 1.069
69 H -2.7742 -24.5555 -1.5965  C63 1.135